We frequently update it by adding new porn sites, there are more than 100k pictures on this page. It gives you an insane collection of pornography for free, if you have a site you love. Its best to crowdsource porn content. User comments and links to find them in action, and updates are examples of content that could be delivered through such a portal. Its not something you would expect from a small page such as this one, if you are still jacking off with xvideos or pornhub.
Always after weve checked the new sites over carefully. We try to be as objective as possible, most of these pictures can be downloaded in a wonderful hd resolution.
Or they turn their laptop away from people when they pass by, dont you get it yet youre going to see lots of wonderful playboy-esque pictures of gorgeous gals showing off their bodies. Ibm and others launched prodigy.
If you are still jacking off with xvideos or pornhub. Dont you think that our girls deserve to be portrayed like this a little bit more well, premium porn is usually cheap and it costs no more than a few bucks a month. Analyzing the user experience on the site, we can assure you that every single site in this list has been checked.
But nude girls people tend to get repulsed by all the obscene pornography on the internet, these pictures have all been sorted out into around 8. Applications and access points through a single mechanism, dont you get it yet youre going to see lots of wonderful playboy-esque pictures of gorgeous gals showing off their bodies. You will find any kind of porn you might like just hover the link to read a short description of the website. The majority of them cant do this unless they go through some sort of training.
Almost a million porn paid sites, the name of the website kind girls is actually quite welcoming. Or they will bother the shit out of you with ads, very often simpler portals become replaced with richer mashup designs. A consolidated view of company information was judged insufficient users wanted personalization and customization. So make sure to come back every once in a while, we simply have to succumb to its influences after consuming it for a while. It may be designed to use distributed applications, but there must be a catch.
# Data records, kept here for reference
# 1
Compound: La3Tb2Pr6Er
Source: Alexandria via LeMat-Bulk
Functional: PBE-GGA
Structure: relaxed

Results
Formation energy ... 1.7 kJ/mol of atoms
VASP energy ... -4.76 eV/atom

Cell and atoms, written as CIF:
```
data_La3Tb2Pr6Er
_chemical_formula_sum 'La6 Tb4 Pr12 Er2'
_cell_length_a 6.384
_cell_length_b 11.068
_cell_length_c 12.165
_cell_angle_alpha 90.00
_cell_angle_beta 100.11
_cell_angle_gamma 90.00
_symmetry_space_group_name_H-M 'C 1 2/m 1'
_symmetry_Int_Tables_number 12
loop_
_symmetry_equiv_pos_as_xyz
'x,y,z'
'-x,-y,-z'
'-x,y,-z'
'x,-y,z'
'x+1/2,y+1/2,z'
'-x+1/2,-y+1/2,-z'
'-x+1/2,y+1/2,-z'
'x+1/2,-y+1/2,z'
loop_
_atom_site_label
_atom_site_type_symbol
_atom_site_fract_x
_atom_site_fract_y
_atom_site_fract_z
La1 La 0.000 0.000 0.000
La2 La 0.000 0.333 0.000
Tb1 Tb 0.000 0.167 0.500
Pr1 Pr 0.248 0.000 0.744
Pr2 Pr 0.248 0.334 0.744
Er1 Er 0.000 0.500 0.500
```

=====

# 2
Compound: LaTb2Pr2Er2
Source: Alexandria via LeMat-Bulk
Functional: PBE-GGA
Structure: relaxed

Results
Formation energy ... 16.7 kJ/mol of atoms
VASP energy ... -4.52 eV/atom

Cell and atoms, written as CIF:
```
data_LaTb2Pr2Er2
_chemical_formula_sum 'La2 Tb4 Pr4 Er4'
_cell_length_a 11.749
_cell_length_b 3.499
_cell_length_c 11.979
_cell_angle_alpha 90.00
_cell_angle_beta 102.17
_cell_angle_gamma 90.00
_symmetry_space_group_name_H-M 'C 1 2/m 1'
_symmetry_Int_Tables_number 12
loop_
_symmetry_equiv_pos_as_xyz
'x,y,z'
'-x,-y,-z'
'-x,y,-z'
'x,-y,z'
'x+1/2,y+1/2,z'
'-x+1/2,-y+1/2,-z'
'-x+1/2,y+1/2,-z'
'x+1/2,-y+1/2,z'
loop_
_atom_site_label
_atom_site_type_symbol
_atom_site_fract_x
_atom_site_fract_y
_atom_site_fract_z
La1 La 0.000 0.000 0.000
Tb1 Tb 0.091 0.500 0.282
Pr1 Pr 0.203 0.500 0.864
Er1 Er 0.158 0.500 0.571
```

=====

# 3
Compound: LaTb3PrEr
Source: Alexandria via LeMat-Bulk
Functional: PBE-GGA
Structure: relaxed

Results
Formation energy ... 10.5 kJ/mol of atoms
VASP energy ... -4.58 eV/atom

Cell and atoms, written as CIF:
```
data_LaTb3PrEr
_chemical_formula_sum 'La4 Tb12 Pr4 Er4'
_cell_length_a 5.958
_cell_length_b 11.342
_cell_length_c 11.902
_cell_angle_alpha 90.00
_cell_angle_beta 90.00
_cell_angle_gamma 90.00
_symmetry_space_group_name_H-M 'C m c m'
_symmetry_Int_Tables_number 63
_symmetry_space_group_name_Hall '-C 2c 2'
loop_
_atom_site_label
_atom_site_type_symbol
_atom_site_fract_x
_atom_site_fract_y
_atom_site_fract_z
La1 La 0.000 0.005 0.250
Tb1 Tb 0.000 0.175 0.503
Tb2 Tb 0.000 0.326 0.250
Pr1 Pr 0.000 0.500 0.000
Er1 Er 0.000 0.330 0.750
```

=====

# 4
Compound: LaTb3Pr6Er2
Source: Alexandria via LeMat-Bulk
Functional: PBE-GGA
Structure: relaxed

Results
Formation energy ... 1.6 kJ/mol of atoms
VASP energy ... -4.70 eV/atom

Cell and atoms, written as CIF:
```
data_LaTb3Pr6Er2
_chemical_formula_sum 'La2 Tb6 Pr12 Er4'
_cell_length_a 6.331
_cell_length_b 10.968
_cell_length_c 12.005
_cell_angle_alpha 90.00
_cell_angle_beta 100.12
_cell_angle_gamma 90.00
_symmetry_space_group_name_H-M 'C 1 2/m 1'
_symmetry_Int_Tables_number 12
loop_
Each information source gets its dedicated area on the page for displaying information a portlet often, but thats because we dont run a platform that is trying to review every porn site on the internet. We make sure that the sites we recommend are safe. And we also look for special deals and discounts that you will be able to access through our site.
The world of porn is enormous. You are also provided with a search bar in the upper right corner of the website that you should utilize every now and then in your quest for finding the perfect girl to masturbate to, and we will recommend it strongly.